The importance of people in your Patent Strategy

There is always more to solving the problem than we think, and the human resource aspect of intellectual property strategy is a critical component of building a strategy that companies can’t afford to ignore.
If you have worked with me before, or asked me high level advice about your patent situation, you will recognize the following phrase: “It depends.”
An IP strategy specific to a company is not something that can be digested into an easy soundbite without knowing all the details and the business environment. More specifically, when asked about the best strategy to pursue there is so many variables that the reply – like any good strategy – needs to take into account the environment it is both build it, and created to exist in. This translates me repositioning the question I am asked “Can I patent this?” to “Should you patent that, what is the scope of the business you need use the IP for, and will your current scope help you?” Is the patent part of a defensive strategy, or licensing program you are hoping to build? Are you key competitors already in this technology space, or is it a blue-ocean you are planning for?” There is 100 more questions I could ask a venture that will help narrow in on the best strategy for that venture based on the business environment they are playing in.
However, there is one consistent piece of an IP strategy that transcends all types of ventures, and growth plans they have: People. And it is not enough to have “a team member who knows about IP” as part of your strategy to have IP as a competitive advantage in your venture.
Startups and smaller ventures need to have staff that are masters of many topics, but in reality for IP it is a strategic skill set that is often not available internally. This translates into the need to have outside counsel that is not only versed in the legal side of IP, and also with business experience in the industry to help guide the work being done. As a cautionary note, simply outsourcing IP to an attorney with the hope that they will guide the strategy is often a plan I hear startups talk about, but in practice does not always generate the portfolios needed for the future venture. For other more savvy startups, they opt to have a strong advisory board or board member that has the background to keep the venture and external counsel on track. Larger firms need to realize their end goals of having an internal IP team, and see if the core competencies required exist in the team or if it should be outsourced. For ventures with an existing team who have been building a patent portfolio, the question I would ask is as follows: “Is the team that build it also versed in setting the appropriate business strategy? Or are they just a team build to execute?”. There are larger ventures who have been staffed with an IP team before the vision is set, so while execution of a program happens it may not be execution of the best program for the venture.
Jim Collins, author of Good to Great, talks about the “First Who, Then What”, which elaborates on how the right people can be the most important asset, but the destination of a successful venture is defined by the WHO you have on board, leading to WHAT they will accomplish. Building and executing an IP program or strategy is no different – you have to have the right people. If you have stacked your venture with skills in executing and prosecuting IP, your ultimate portfolio will largely be defined by patents that were generated and prosecuted efficiently, yet the ultimate scope and view may have no defined strategic position.
........
The following is a simulated powder diffractogram of Ac2SiAu. It was derived from a cell relaxed with GGA-PBE, using a wavelength of 1.5418 Å.
Lines closer than 0.1° are merged.

Structural model:
Lattice parameters (Å, degrees): 5.5047 5.5047 5.5047 60.00 60.00 60.00
Positions (direct):
Ac1 0.2500 0.2500 0.2500
Ac2 0.7500 0.7500 0.7500
Si1 0.0000 0.0000 0.0000
Au1 0.5000 0.5000 0.5000

Largest 10 diffraction maxima, in order of rising 2θ, 10 to 80 degrees two-theta:
19.75 deg, d 4.495, rel. 13.9
22.85 deg, d 3.892, rel. 12.1
32.53 deg, d 2.752, rel. 100.0
38.35 deg, d 2.347, rel. 8.4
40.13 deg, d 2.247, rel. 3.9
46.67 deg, d 1.946, rel. 18.7
52.57 deg, d 1.741, rel. 5.6
58.04 deg, d 1.589, rel. 39.5
68.14 deg, d 1.376, rel. 12.3
77.56 deg, d 1.231, rel. 17.3
........
The key core competency of a patent team is not just legal. It is the ability to apply the combination of legal, business, and technical skills to the venture from both the strategic and tactical perspective.
For smaller ventures I would ask: Do you have a mentor team, advisory board, or board member that has the skills to help strategically position your IP? While these individuals may not do the work they can steer smaller groups with restricted budgets to spend their efforts and filings costs in the best areas. Do you have the WHO to get you where you need to be in order to have a protected competitive advantage in the market?
For medium and growing ventures I would ask: Do you have a team built to execute, and are you actively making time with your executive teams to ensure you are providing them guidance? Measuring a team on patent volume as the metric of progress needs to be supported by a measure of quality and scope as well.
For larger ventures with established teams I would ask: Do you have the leadership in both the businesses and IP groups to set the strategy that needs executed? Is the IP position part of the strategic planning cycle, and are KPIs in place to drive the right behavior for the IP team?
In summary, a tangible take-away for ventures is to really think about the HR aspect of your patent plans. Having the right people to define the strategic view on your team will be a key success factor in your final portfolio position, regardless of venture size.